What to do.
Next, filter the rows further down: keep the lines with the word "Entry".
Given.
____________
# Zn2CrBO, optimized geometry, DFT GGA+U
data_Zn2CrBO
_chemical_formula_sum 'Zn2 Cr1 B1 O1'
_cell_length_a 3.871
_cell_length_b 3.871
_cell_length_c 4.566
_cell_angle_alpha 90.00
_cell_angle_beta 90.00
_cell_angle_gamma 90.00
_symmetry_space_group_name_H-M 'P 4/m m m'
_symmetry_Int_Tables_number 123
_symmetry_space_group_name_Hall '-P 4 2'
loop_
_atom_site_label
_atom_site_fract_x
_atom_site_fract_y
_atom_site_fract_z
Zn1 0.000 0.500 0.000
Cr1 0.000 0.000 0.500
B1 0.500 0.500 0.500
O1 0.500 0.500 0.000
# Total moment in Bohr magnetons per cell: 0.969
# Electronic total energy in eV/atom: -3.32
# N(E_F) in states/eV per atom: 0.3076

=====

Version P
Entry from Alexandria via LeMat-Bulk: an optimized crystal structure of PaGePd2 (PBE).

a b c (Å): 4.748 4.748 4.748
angles (deg): 60.00 60.00 60.00
Fractional coordinates of all 4 atoms:
1 Pa 0.000 0.000 0.000
2 Ge 0.500 0.500 0.500
3 Pd 0.250 0.250 0.250
4 Pd 0.750 0.750 0.750

SG: Fm-3m (225)
total magnetization: 0.001 μB per atom

Version Q
Entry from Alexandria via LeMat-Bulk: an optimized crystal structure of PaGePd2 (PBE).

a b c (Å): 9.564 9.564 9.564
angles (deg): 18.47 18.47 18.47
Fractional coordinates of all 4 atoms:
1 Pa 0.000 0.000 0.000
2 Ge 0.500 0.500 0.500
3 Pd 0.094 0.094 0.094
4 Pd 0.906 0.906 0.906

SG: R-3m (166)
total magnetization: 0.132 μB per atom

Version R
Entry from Alexandria via LeMat-Bulk: an optimized crystal structure of PaGePd2 (PBE).

a b c (Å): 5.604 5.604 6.982
angles (deg): 90.00 90.00 137.07
Fractional coordinates of all 8 atoms:
1 Pa 0.068 0.932 0.750
2 Pa 0.932 0.068 0.250
3 Ge 0.217 0.783 0.250
4 Ge 0.783 0.217 0.750
5 Pd 0.372 0.628 0.550
6 Pd 0.372 0.628 0.950
7 Pd 0.628 0.372 0.050
8 Pd 0.628 0.372 0.450

SG: Cmcm (63)
total magnetization: 0.000 μB per atom

The least stable of them is version Q.

Version P
Entry from Alexandria via LeMat-Bulk: an optimized crystal structure of Pa2GePd (PBE).

a b c (Å): 3.758 3.758 6.080
angles (deg): 90.00 90.00 90.00
Fractional coordinates of all 4 atoms:
1 Pa 0.000 0.000 0.247
2 Pa 0.000 0.000 0.753
3 Ge 0.500 0.500 0.000
4 Pd 0.500 0.500 0.500

SG: P4/mmm (123)
total magnetization: 0.000 μB per atom

Version Q
Entry from Alexandria via LeMat-Bulk: an optimized crystal structure of Pa2GePd (PBE).

a b c (Å): 10.438 10.438 10.438
angles (deg): 17.35 17.35 17.35
Fractional coordinates of all 4 atoms:
1 Pa 0.087 0.087 0.087
2 Pa 0.913 0.913 0.913
3 Ge 0.500 0.500 0.500
4 Pd 0.000 0.000 0.000

SG: R-3m (166)
total magnetization: 0.000 μB per atom

The least stable of them is version Q.

Version P
Entry from Alexandria via LeMat-Bulk: an optimized crystal structure of Pa2GePd (PBE).

a b c (Å): 4.375 4.375 4.343
angles (deg): 90.00 90.00 90.00
Fractional coordinates of all 4 atoms:
1 Pa 0.000 0.500 0.000
2 Pa 0.500 0.000 0.000
3 Ge 0.000 0.000 0.500
4 Pd 0.500 0.500 0.500

SG: P4/mmm (123)
total magnetization: 0.000 μB per atom

Version Q
Entry from Alexandria via LeMat-Bulk: an optimized crystal structure of Pa2GePd (PBE).

a b c (Å): 5.969 3.960 8.163
angles (deg): 90.00 110.69 90.00
Fractional coordinates of all 8 atoms:
1 Pa 0.208 0.250 0.406
2 Pa 0.208 0.250 0.937
3 Pa 0.792 0.750 0.063
4 Pa 0.792 0.750 0.594
5 Ge 0.318 0.750 0.698
6 Ge 0.682 0.250 0.302
7 Pd 0.368 0.750 0.213
8 Pd 0.632 0.250 0.787

SG: P2_1/m (11)
total magnetization: 0.000 μB per atom

The least stable of them is version P.

Version P
Entry from Alexandria via LeMat-Bulk: an optimized crystal structure of Pa5Ge5Pd2 (PBE).

a b c (Å): 7.748 7.748 10.985
angles (deg): 129.52 129.52 31.45
Fractional coordinates of all 12 atoms:
1 Pa 0.000 0.000 0.000
2 Pa 0.314 0.314 0.398
3 Pa 0.364 0.364 0.196
4 Pa 0.636 0.636 0.804
5 Pa 0.686 0.686 0.602
6 Ge 0.000 0.000 0.500
7 Ge 0.060 0.060 0.325
8 Ge 0.311 0.311 0.887
9 Ge 0.689 0.689 0.113
10 Ge 0.940 0.940 0.675
11 Pd 0.377 0.377 0.723
12 Pd 0.623 0.623 0.277

SG: C2/m (12)
total magnetization: 0.052 μB per atom

Version Q
____________
Here it is.
Entry from Alexandria via LeMat-Bulk: an optimized crystal structure of PaGePd2 (PBE).
Entry from Alexandria via LeMat-Bulk: an optimized crystal structure of PaGePd2 (PBE).
Entry from Alexandria via LeMat-Bulk: an optimized crystal structure of PaGePd2 (PBE).
Entry from Alexandria via LeMat-Bulk: an optimized crystal structure of Pa2GePd (PBE).
Entry from Alexandria via LeMat-Bulk: an optimized crystal structure of Pa2GePd (PBE).
Entry from Alexandria via LeMat-Bulk: an optimized crystal structure of Pa2GePd (PBE).
Entry from Alexandria via LeMat-Bulk: an optimized crystal structure of Pa2GePd (PBE).
Entry from Alexandria via LeMat-Bulk: an optimized crystal structure of Pa5Ge5Pd2 (PBE).